Assignment >
Find the line below that holds "_cell_length_c 4.597", then print that line and all lines after it there.

Listing >
# 1
# NbAgOs3 (meta-GGA SCAN, single point on PBEsol structure)
data_NbAgOs3
_chemical_formula_sum 'Nb1 Ag1 Os3'
_cell_length_a 4.597
_cell_length_b 4.597
_cell_length_c 4.597
_cell_angle_alpha 90.00
_cell_angle_beta 90.00
_cell_angle_gamma 90.00
_symmetry_space_group_name_H-M 'P 1'
_symmetry_Int_Tables_number 1
loop_
_symmetry_equiv_pos_as_xyz
'x,y,z'
loop_
_atom_site_label
_atom_site_fract_x
_atom_site_fract_y
_atom_site_fract_z
Nb1 0.000 0.000 0.000
Ag1 0.500 0.500 0.500
Os1 0.000 0.500 0.500
Os2 0.500 0.000 0.500
Os3 0.500 0.500 0.000
# Space group: Pm-3m, No. 221
# Formation energy from the elements (eV/atom): 2.96
# D(E_F) (states/eV per atom): 1.4128
# Crystal system: cubic
# M_tot (μB/cell): 0.00

***

# 2
# Sc2TaSb (meta-GGA SCAN, single point on PBEsol structure)
data_Sc2TaSb
_chemical_formula_sum 'Sc6 Ta3 Sb3'
_cell_length_a 3.198
_cell_length_b 3.198
_cell_length_c 28.599
_cell_angle_alpha 90.00
_cell_angle_beta 90.00
_cell_angle_gamma 120.00
_symmetry_space_group_name_H-M 'P 1'
_symmetry_Int_Tables_number 1
loop_
_symmetry_equiv_pos_as_xyz
'x,y,z'
loop_
_atom_site_label
_atom_site_fract_x
_atom_site_fract_y
_atom_site_fract_z
Sc1 0.000 0.000 0.248
Sc2 0.000 0.000 0.752
Sc3 0.333 0.667 0.419
Sc4 0.333 0.667 0.915
Sc5 0.667 0.333 0.085
Sc6 0.667 0.333 0.581
Ta1 0.000 0.000 0.500
Ta2 0.333 0.667 0.167
Ta3 0.667 0.333 0.833
Sb1 0.000 0.000 0.000
Sb2 0.333 0.667 0.667
Sb3 0.667 0.333 0.333
# Space group: R-3m, No. 166
# D(E_F) (states/eV per atom): 1.1494
# Formation energy (no corrections) (eV/f.u.): -0.4
# Crystal system: trigonal
# M_tot (μB/cell): 0.01

***

# 3
# Tc2GeBr (meta-GGA SCAN, single point on PBEsol structure)
data_Tc2GeBr
_chemical_formula_sum 'Tc8 Ge4 Br4'
_cell_length_a 6.157
_cell_length_b 6.157
_cell_length_c 6.157
_cell_angle_alpha 90.00
_cell_angle_beta 90.00
_cell_angle_gamma 90.00
_symmetry_space_group_name_H-M 'P 1'
_symmetry_Int_Tables_number 1
loop_
_symmetry_equiv_pos_as_xyz
'x,y,z'
loop_
_atom_site_label
_atom_site_fract_x
_atom_site_fract_y
_atom_site_fract_z
Tc1 0.250 0.250 0.250
Tc2 0.250 0.250 0.750
Tc3 0.250 0.750 0.250
Tc4 0.250 0.750 0.750
Tc5 0.750 0.250 0.250
Tc6 0.750 0.250 0.750
Tc7 0.750 0.750 0.250
Tc8 0.750 0.750 0.750
Ge1 0.000 0.000 0.000
Ge2 0.000 0.500 0.500
Ge3 0.500 0.000 0.500
Ge4 0.500 0.500 0.000
Br1 0.000 0.000 0.500
Br2 0.000 0.500 0.000
Br3 0.500 0.000 0.000
Br4 0.500 0.500 0.500
# Space group: Fm-3m, No. 225
# D(E_F) (states/eV per atom): 0.8440
# Formation energy (no corrections) (eV/f.u.): 2.7
# Crystal system: cubic
# M_tot (μB/cell): 0.00

***

# 4
# LaOsW2 (meta-GGA SCAN, single point on PBEsol structure)
data_LaOsW2
_chemical_formula_sum 'La1 Os1 W2'
_cell_length_a 2.859
_cell_length_b 2.859
_cell_length_c 8.919
_cell_angle_alpha 90.00
_cell_angle_beta 90.00
_cell_angle_gamma 90.00
_symmetry_space_group_name_H-M 'P 1'
_symmetry_Int_Tables_number 1
loop_
_symmetry_equiv_pos_as_xyz
'x,y,z'
loop_
_atom_site_label
_atom_site_fract_x
_atom_site_fract_y
_atom_site_fract_z
La1 0.000 0.000 0.000
Os1 0.000 0.000 0.500
W1 0.500 0.500 0.298
W2 0.500 0.500 0.702
# Space group: P4/mmm, No. 123
# Formation energy from the elements (eV/atom): 0.55
# D(E_F) (states/eV per atom): 1.0303
# Crystal system: tetragonal
# M_tot (μB/cell): 0.00

~~~~~

# KEuCd2, relaxed, DFT GGA-PBE
data_KEuCd2
_chemical_formula_sum 'K4 Eu4 Cd8'
_symmetry_space_group_name_H-M 'F m -3 m'
_symmetry_Int_Tables_number 225
_symmetry_space_group_name_Hall '-F 4 2 3'
_cell_length_a 8.128
_cell_length_b 8.128
_cell_length_c 8.128
_cell_angle_alpha 90.00
_cell_angle_beta 90.00
_cell_angle_gamma 90.00
loop_
_atom_site_label
_atom_site_fract_x
_atom_site_fract_y
_atom_site_fract_z
K1 0.000 0.000 0.000
Eu1 0.000 0.000 0.500
Cd1 0.250 0.250 0.250

Result >
_cell_length_c 4.597
_cell_angle_alpha 90.00
_cell_angle_beta 90.00
_cell_angle_gamma 90.00
_symmetry_space_group_name_H-M 'P 1'
_symmetry_Int_Tables_number 1
loop_
_symmetry_equiv_pos_as_xyz
'x,y,z'
loop_
_atom_site_label
_atom_site_fract_x
_atom_site_fract_y
_atom_site_fract_z
Nb1 0.000 0.000 0.000
Ag1 0.500 0.500 0.500
Os1 0.000 0.500 0.500
Os2 0.500 0.000 0.500
Os3 0.500 0.500 0.000
# Space group: Pm-3m, No. 221
# Formation energy from the elements (eV/atom): 2.96
# D(E_F) (states/eV per atom): 1.4128
# Crystal system: cubic
# M_tot (μB/cell): 0.00

***

# 2
# Sc2TaSb (meta-GGA SCAN, single point on PBEsol structure)
data_Sc2TaSb
_chemical_formula_sum 'Sc6 Ta3 Sb3'
_cell_length_a 3.198
_cell_length_b 3.198
_cell_length_c 28.599
_cell_angle_alpha 90.00
_cell_angle_beta 90.00
_cell_angle_gamma 120.00
_symmetry_space_group_name_H-M 'P 1'
_symmetry_Int_Tables_number 1
loop_
_symmetry_equiv_pos_as_xyz
'x,y,z'
loop_
_atom_site_label
_atom_site_fract_x
_atom_site_fract_y
_atom_site_fract_z
Sc1 0.000 0.000 0.248
Sc2 0.000 0.000 0.752
Sc3 0.333 0.667 0.419
Sc4 0.333 0.667 0.915
Sc5 0.667 0.333 0.085
Sc6 0.667 0.333 0.581
Ta1 0.000 0.000 0.500
Ta2 0.333 0.667 0.167
Ta3 0.667 0.333 0.833
Sb1 0.000 0.000 0.000
Sb2 0.333 0.667 0.667
Sb3 0.667 0.333 0.333
# Space group: R-3m, No. 166
# D(E_F) (states/eV per atom): 1.1494
# Formation energy (no corrections) (eV/f.u.): -0.4
# Crystal system: trigonal
# M_tot (μB/cell): 0.01

***

# 3
# Tc2GeBr (meta-GGA SCAN, single point on PBEsol structure)
data_Tc2GeBr
_chemical_formula_sum 'Tc8 Ge4 Br4'
_cell_length_a 6.157
_cell_length_b 6.157
_cell_length_c 6.157
_cell_angle_alpha 90.00
_cell_angle_beta 90.00
_cell_angle_gamma 90.00
_symmetry_space_group_name_H-M 'P 1'
_symmetry_Int_Tables_number 1
loop_
_symmetry_equiv_pos_as_xyz
'x,y,z'
loop_
_atom_site_label
_atom_site_fract_x
_atom_site_fract_y
_atom_site_fract_z
Tc1 0.250 0.250 0.250
Tc2 0.250 0.250 0.750
Tc3 0.250 0.750 0.250
Tc4 0.250 0.750 0.750
Tc5 0.750 0.250 0.250
Tc6 0.750 0.250 0.750
Tc7 0.750 0.750 0.250
Tc8 0.750 0.750 0.750
Ge1 0.000 0.000 0.000
Ge2 0.000 0.500 0.500
Ge3 0.500 0.000 0.500
Ge4 0.500 0.500 0.000
Br1 0.000 0.000 0.500
Br2 0.000 0.500 0.000
Br3 0.500 0.000 0.000
Br4 0.500 0.500 0.500
# Space group: Fm-3m, No. 225
# D(E_F) (states/eV per atom): 0.8440
# Formation energy (no corrections) (eV/f.u.): 2.7
# Crystal system: cubic
# M_tot (μB/cell): 0.00

***

# 4
# LaOsW2 (meta-GGA SCAN, single point on PBEsol structure)
data_LaOsW2
_chemical_formula_sum 'La1 Os1 W2'
_cell_length_a 2.859
_cell_length_b 2.859
_cell_length_c 8.919
_cell_angle_alpha 90.00
_cell_angle_beta 90.00
_cell_angle_gamma 90.00
_symmetry_space_group_name_H-M 'P 1'
_symmetry_Int_Tables_number 1
loop_
_symmetry_equiv_pos_as_xyz
'x,y,z'
loop_
_atom_site_label
_atom_site_fract_x
_atom_site_fract_y
_atom_site_fract_z
La1 0.000 0.000 0.000
Os1 0.000 0.000 0.500
W1 0.500 0.500 0.298
W2 0.500 0.500 0.702
# Space group: P4/mmm, No. 123
# Formation energy from the elements (eV/atom): 0.55
# D(E_F) (states/eV per atom): 1.0303
# Crystal system: tetragonal
# M_tot (μB/cell): 0.00

~~~~~

# KEuCd2, relaxed, DFT GGA-PBE
data_KEuCd2
_chemical_formula_sum 'K4 Eu4 Cd8'
_symmetry_space_group_name_H-M 'F m -3 m'
_symmetry_Int_Tables_number 225
_symmetry_space_group_name_Hall '-F 4 2 3'
_cell_length_a 8.128
_cell_length_b 8.128
_cell_length_c 8.128
_cell_angle_alpha 90.00
_cell_angle_beta 90.00
_cell_angle_gamma 90.00
loop_
_atom_site_label
_atom_site_fract_x
_atom_site_fract_y
_atom_site_fract_z
K1 0.000 0.000 0.000
Eu1 0.000 0.000 0.500
Cd1 0.250 0.250 0.250